View Full Version : New - 6 y/o Sheltie (Sandal) - Trilostane

**Attached: molecular data:**
/*
## 1
3 unconnected molecules or ions with the total composition C5H10NO2. Source: the OMol25 dataset; level of theory: wB97M-V/def2-TZVPD.

Last column: Mulliken charge in e.
Geometry (Å):
O (-2.8902, 1.3809, -0.8700)  -0.694
O (-2.7455, -0.8236, -0.5737)  -0.648
N (2.8836, 0.2198, -0.9436)  -0.528
C (2.0212, 0.5700, -0.1260)  -0.528
C (0.6543, -1.5348, 0.4523)  -1.348
C (-2.5327, 0.2283, -1.2103)  0.089
C (0.5471, -0.1254, -0.1217)  1.119
C (-0.4285, 0.7427, 0.6254)  -2.299
H (0.0433, 1.0942, 1.5625)  0.607
H (-1.9801, 0.1967, -2.1863)  0.309
H (2.3292, 0.3810, 1.3980)  0.168
H (-0.7967, 1.6108, 0.0893)  0.394
H (-1.2724, 0.1704, 1.0020)  0.474
H (0.3068, -0.1152, -1.1850)  0.288
H (1.8091, 1.5568, 0.3096)  0.524
H (0.3735, -1.4416, 1.5010)  0.373
H (1.6647, -1.9340, 0.4228)  0.413
H (0.0131, -2.1768, -0.1464)  0.286

Net charge: -1
2S+1: 1
E_HOMO (eV): -4.300
Frontier orbital gap (eV): 5.414

## 2
A gas-phase ion, C5H10NO2 (charge -1). Source: the OMol25 dataset; level of theory: wB97M-V/def2-TZVPD.

Last column: Mulliken charge in e.
Geometry (Å):
O (0.6662, -0.2873, 3.5297)  -0.503
O (1.0026, -0.7142, -3.0710)  -0.877
N (-0.8854, -1.2986, -0.9749)  -0.665
C (-0.2792, 0.6920, 0.2560)  -1.023
C (0.7394, 0.2002, -2.1281)  -0.633
C (0.2132, -0.4292, -0.6694)  0.031
C (-0.6166, 0.2273, 1.6633)  -0.421
C (0.4906, 0.3742, 2.5627)  -0.008
H (0.0127, 0.9485, -2.4008)  0.199
H (1.2484, 1.1927, 2.3532)  0.329
H (-1.6760, -0.8337, -1.3262)  0.234
H (0.9086, -1.0011, -0.1364)  0.380
H (0.5820, 1.3381, 0.2949)  0.228
H (-0.5943, -1.9932, -1.7259)  0.272
H (-0.7758, -0.9034, 1.7882)  0.201
H (-1.5705, 0.6230, 2.0068)  0.419
H (-1.0807, 1.1495, -0.2363)  0.575
H (1.6147, 0.7154, -1.7859)  0.264

Net charge: -1
2S+1: 1
E_HOMO (eV): -2.464
Frontier orbital gap (eV): 6.041

## 3
A gas-phase ion, C5H10NO2 (charge -1). Source: the OMol25 dataset; level of theory: wB97M-V/def2-TZVPD.

Last column: Mulliken charge in e.
Geometry (Å):
O (-0.2449, -1.1336, -1.6670)  -0.556
O (0.9884, 0.5999, -2.2552)  -0.648
N (1.5447, -0.0209, 1.1932)  -0.583
C (-1.8616, 0.4482, -0.1393)  -1.218
C (0.4251, -0.7235, 1.8306)  -0.695
C (1.5991, -0.1903, -0.1662)  -0.747
C (-0.7361, 1.1113, -0.5909)  -0.458
C (0.4764, 0.0475, -1.3248)  0.711
H (-0.3904, -0.9228, 1.1288)  0.184
H (-0.1132, 1.6066, 0.1383)  0.467
H (0.0411, -0.1023, 2.6485)  0.238
H (0.7100, -1.7241, 2.1804)  0.376
H (-2.8364, 0.7651, -0.4928)  0.252
H (2.4160, 0.4528, -0.4919)  0.384
H (-1.0451, -0.9988, -1.1543)  0.406
H (-0.9941, 1.8478, -1.3414)  0.384
H (-1.9023, 0.1623, 0.9024)  0.224
H (1.9233, -1.2254, -0.3985)  0.280

Net charge: -1
2S+1: 1
E_HOMO (eV): -2.412
Frontier orbital gap (eV): 5.429

What should be chosen as the least stable of them? Choose 3.

## 1
4 unconnected molecules or ions with the total composition C3H13NO3. Source: the OMol25 dataset; level of theory: wB97M-V/def2-TZVPD.

Last column: Mulliken charge in e.
Geometry (Å):
O (-0.7617, 1.8133, -1.1991)  -0.654
O (0.9162, 1.6023, 1.6761)  -0.636
*/

05-24-2012, 01:15 PM
Hi Everyone, my best friend is Sandal. She is a 6 year old Sheltie and has been on triostand since being diagonised 4 years ago. We live in SC so it is very warm in the summer but lately she seems to be really slowing down, breathing very heavy, sleeping all day and after a short walk begins to limp. Her last ACTH (sp) test was 2 months ago and it has not changed in over 1 1/2 years. She has also begun to snort and sometimes when I pet her she growns. Do you think she is trying to tell me that she is in pain? Help

Harley PoMMom
05-24-2012, 02:23 PM
Hi and welcome to you and Sandal!

Sorry for the reasons that brought you here but glad you found us as we will help in any way we can.

It would help us to provide you with better feedback if you could get copies of the test/s that were done on Sandal and post those results here. We are interested in any abnormalities that are listed plus any Cushing test results.

Does Sandal cough at all? Has any ultrasounds or x-rays been done on Sandal lately?

Please remember we are here for you both so do not hesitate to ask any and all questions.

Love and hugs,

05-24-2012, 02:41 PM
No test lately. Sandal is not coughing or anything like that. I can just see changes in her energy andthe heavy breathing even while resting. My niece is a vet up in VA so I will talk to her too and if no improvement I guess a trip to the Vets. At this point I will not take any measures that will cause her additional pain or suffering. I think one of the biggest problems that it causes me is that i think she is sad and maybe in pain. When I first took Sandal to the doctors it was because of the usual things with cushings like thirst, eating and problems holding her urine but also a big clue was the change in her personality. I hope she feels better soon. Thank you for taking the time to respond. Maybe the cushings has just ran it's course?

marie adams
05-24-2012, 04:16 PM
Welcome to Sandal and you!!! :)

Everyone here will help you along further in your Cushing's journey.

_Unrelated to this page: data records_
____________
1.
Molecular formula: C8H14N
Method: DFT, the ωB97M-V functional and the def2-TZVPD basis

XYZ file:
```
23
Properties=species:S:1:pos:R:3:lowdin_charge:R:1
C 1.31343 -0.50888 -0.58388 0.00
C 1.20084 0.53469 -1.34919 -0.13
C 0.98169 1.89651 -1.78424 0.06
C -0.21031 0.97272 -1.32774 -0.19
C -0.80342 0.56986 -0.02636 -0.21
C 0.00504 -0.92610 0.21102 -0.36
C -0.58070 1.43900 1.21372 -0.05
C -0.73167 -2.08373 -0.40962 -0.04
N 0.39689 -1.17116 1.67926 0.26
H 2.17828 -1.09605 -0.32562 0.11
H 1.24758 2.62601 -1.07323 0.10
H 0.92687 2.23535 -2.81655 0.13
H -0.89831 0.64413 -2.08676 0.14
H -1.84439 0.37481 -0.17682 0.13
H 0.41658 1.42090 1.41910 0.05
H -1.21742 1.22089 2.16996 0.14
H -0.86838 2.46492 1.14218 0.09
H -1.71369 -2.20732 0.19326 0.12
H -0.14047 -3.02491 -0.36872 0.10
H -1.14540 -1.83551 -1.49650 0.15
H 1.31602 -1.28226 1.54682 0.08
H 0.01473 -2.03129 2.11219 0.19
H 0.15620 -0.23259 2.13770 0.16
```

Output
Net charge: +1
ΔE to the lowest compared entry with this formula, charge and spin, kcal/mol: 63.07
Structure (SMILES): C[C@H]1[C@H]2CC2=C[C@@]1(C)[NH3+]
LUMO, eV: -3.19
Orbital gap, eV: 9.56

---

2.
Molecular formula: C8H14N2
Method: DFT, the ωB97M-V functional and the def2-TZVPD basis

XYZ file:
```
24
Properties=species:S:1:pos:R:3:lowdin_charge:R:1
C 2.97276 0.86149 0.00498 -0.35
C 1.21822 0.43454 -1.67081 -0.25
C -0.13178 0.83900 -1.05960 -0.16
C 2.28741 -0.09974 -0.73316 -0.11
C -0.00184 -0.01165 1.32059 -0.11
C -0.84267 -0.05889 0.02367 -0.51
C -1.15095 -1.46232 -0.37691 -0.04
C -2.14235 0.68286 0.54546 -0.02
N 3.64799 1.72246 0.38698 0.10
N 0.13879 -0.92985 2.30026 0.11
H 1.01234 -0.33138 -2.42895 0.10
H 1.48958 1.26327 -2.31792 0.11
H 0.10563 1.77497 -0.57781 0.09
H -0.88701 1.01449 -1.98805 0.17
H 2.46304 -1.21351 -0.79231 0.10
H 0.45643 0.95854 1.55925 0.13
H -0.28766 -2.10334 -0.18584 0.10
H -1.11861 -1.43734 -1.37262 0.04
H -2.12096 -1.75342 -0.10149 0.08
H -1.91411 1.74549 0.50109 0.09
H -2.26472 0.35912 1.57865 0.08
H -2.97357 0.35802 0.02498 0.05
H 0.37273 -0.75037 3.23404 0.08
H -0.32870 -1.86245 2.12554 0.13
```

Output
ΔE to the lowest compared entry with this formula, charge and spin, kcal/mol: 104.44
LUMO (alpha / beta), eV: -0.50 / 0.50
Orbital gap (alpha / beta), eV: 5.40 / 7.92

---

3.
Molecular formula: C8H14N2
Method: DFT, the ωB97M-V functional and the def2-TZVPD basis

XYZ file:
```
24
Properties=species:S:1:pos:R:3:lowdin_charge:R:1
C 2.23696 -1.13184 0.48767 -0.16
C 1.22556 -0.74769 -0.27225 -0.29
C 0.15257 0.09654 0.43384 -0.48
C 1.15951 -0.64665 -1.74548 -0.06
C -0.21654 -0.57158 1.73449 -0.09
C 0.82546 1.56040 0.64003 -0.01
C -3.30140 -0.61304 -1.05694 -0.07
C -2.03260 -0.61042 -0.20880 -0.24
N 3.18934 -1.19091 1.27299 0.15
N -1.20955 0.34478 -0.29545 0.10
H 0.75242 0.33900 -2.13070 0.11
H 0.41382 -1.33816 -2.06790 0.05
H 2.16103 -0.97375 -2.16820 0.10
H -0.97780 0.09130 2.24168 0.11
H 0.70941 -0.76604 2.30029 0.08
H -0.62938 -1.59350 1.64553 0.07
H 0.03248 2.28966 0.29425 0.08
____________
_So much for the data records_

My Maddie snorted like a pig, but many sites on Cushing's didn't mention this as a symptom. I did find one that did---of course you research and research till you cannot any longer--then you research some more. :D You have a wealth of knowledge here waiting for you to ask all your questions and I can see Lori has already started to help. The rest will be along shortly.

This forum is a life saver when it comes to this disease. You are now part of our family.

Take care!! :)

05-28-2012, 10:15 AM
Welcome to Sandal and you!!! :)

Everyone here will help you along further in your Cushing's journey.

My Maddie snorted like a pig, but many sites on Cushing's didn't mention this as a symptom. I did find one that did---of course you research and research till you cannot any longer--then you research some more. :D You have a wealth of knowledge here waiting for you to ask all your questions and I can see Lori has already started to help. The rest will be along shortly.

This forum is a life saver when it comes to this disease. You are now part of our family.

Take care!! :)
Thank you, Yes Sandal began snorting about 6 months ago. That combined with her heavy panting and unable to walk very far is really hard to watch. She also seems like her legs are stiff, has anyone elses had this symptom?

05-28-2012, 10:50 AM
Hi and a belated welcome to you and Sandal.

I'm sorry for the circumstances that caused you to look for us but I'm really glad you found us. It sounds like you've been dealing with cushing's for a lot longer than most members. What form of cushing's does Sandal have (pituitary or adrenal tumor)? How much does she weigh and if she is receiving treatment, which drug and what is the doseage? If treated, aside from exercise intolerance and panting, have all of Sandal's other symptoms resolved?

It would help us greatly if you could please round up the acth stim tests that have been done and post the results here. I would be particularly interested in seeing the last acth that was done two months ago. If at all possible, can you get copies of the actual testing that was done to diagnose Sandal?

It takes a very long time for cushing's to run it's course and when it does, the effects of excess cortisol will have pretty much shut down the immune system, leaving the dog open to infection and internal organ damage. With treatment, the effects of excess cortisol is halted and a dog can live out their normal life expectancy with a pretty good quality of life.

I'm looking forward to hearing more about Sandal and her medical history so that we can provide more meaningful feedback.

- - -
The following is a quantum chemistry calculation of a structure of composition C40H57O3PtSe2, from the OMol25 dataset.

For the energy above the lowest of the compared OMol25 structures with the same formula, charge and spin, the calculation gives 0.366 eV. The HOMO energy is -4.13 eV. For the HOMO-LUMO gap, the calculation gives 0.2399 Ha. Its total charge is -1. The LUMO energy comes out at 2.397 eV.

XYZ file:
```
103
C40H57O3PtSe2 wB97M-V/def2-TZVPD
Pt -0.500 -0.098 -0.093
C -0.509 4.699 6.319
C -0.595 4.857 4.802
C 0.511 5.822 4.351
C -1.953 5.489 4.458
C -0.440 3.509 4.085
C -0.500 3.444 2.701
C -0.348 2.227 2.052
Se -0.214 2.177 0.149
C 1.705 2.203 0.116
C 2.306 3.432 0.338
C 3.676 3.527 0.522
C 4.391 2.318 0.490
C 3.822 1.065 0.265
C 2.414 0.981 0.017
O 1.817 -0.130 -0.291
C 4.646 -0.232 0.295
C 6.113 0.015 0.675
C 4.625 -0.902 -1.090
C 4.056 -1.194 1.338
C 4.313 4.898 0.789
C 3.691 5.535 2.041
C 5.818 4.780 1.007
C 4.064 5.837 -0.401
C -0.126 1.000 2.709
O -0.005 -0.126 2.051
C -0.051 1.056 4.133
C -0.207 2.294 4.754
C 0.218 -0.237 4.917
C 0.261 0.000 6.430
C -0.892 -1.265 4.633
C 1.578 -0.823 4.497
H -0.663 5.671 6.797
H 0.470 4.322 6.639
H -1.273 4.013 6.702
H 0.420 6.787 4.871
H 0.456 6.014 3.273
H 1.501 5.406 4.561
H -2.084 6.440 4.993
H -2.774 4.820 4.733
H -2.039 5.692 3.385
H -0.655 4.348 2.112
H 1.684 4.325 0.398
H 5.458 2.365 0.661
H 6.636 0.640 -0.058
H 6.635 -0.947 0.719
H 6.208 0.490 1.659
H 5.081 -0.247 -1.840
H 3.597 -1.120 -1.401
H 5.199 -1.840 -1.063
H 4.081 -0.737 2.334
H 4.658 -2.115 1.370
H 3.018 -1.443 1.107
H 3.801 4.875 2.908
H 2.620 5.722 1.909
H 4.177 6.494 2.264
H 6.056 4.135 1.860
H 6.234 5.773 1.210
H 6.327 4.374 0.126
H 2.992 5.988 -0.572
H 4.488 5.422 -1.321
H 4.518 6.820 -0.219
H -0.146 2.317 5.832
H -0.681 0.411 6.813
H 1.071 0.679 6.723
H 0.434 -0.959 6.931
H -1.872 -0.856 4.906
H -0.720 -2.167 5.237
H -0.919 -1.541 3.578
H 2.385 -0.117 4.727
H 1.602 -1.038 3.427
H 1.767 -1.752 5.054
C -7.757 1.250 1.088
C -6.437 0.834 0.482
C -5.998 -0.479 0.505
C -4.778 -0.869 -0.061
C -4.382 -2.324 0.055
C -3.970 0.092 -0.692
Se -2.366 -0.489 -1.608
C -4.403 1.428 -0.720
C -3.614 2.507 -1.416
C -5.616 1.771 -0.130
H -8.237 0.418 1.606
H -8.455 1.611 0.328
H -7.628 2.060 1.811
H -6.610 -1.232 0.996
H -5.006 -2.819 0.806
H -3.331 -2.430 0.331
H -4.503 -2.860 -0.893
H -2.554 2.324 -1.345
H -3.842 3.488 -0.993
H -3.851 2.535 -2.484
H -5.930 2.814 -0.155
C 0.549 -2.089 -2.414
C 0.228 -2.750 -1.107
C 0.421 -4.233 -0.937
O -0.194 -2.135 -0.138
H 1.139 -2.759 -3.043
H 1.061 -1.139 -2.230
H -0.399 -1.868 -2.916
H 0.451 -4.750 -1.896
H -0.368 -4.637 -0.300
H 1.380 -4.393 -0.430
```


The following is a quantum chemistry calculation of a structure of composition C27H44N3OOsP3, from the OMol25 dataset.
- - -
Back to the entry =


P.S. With respect to the muscle stiffness, dogs with cushing's can experience severe muscle wasting from the catabolic effects of excess cortisol. There is also a rare condition called pseudomyotonia that some dogs experience. My dog has a mild form of it and even after four+ years of treatment, he walks with a really stiff gait and wide stance. Some members have reported much more severe conditions. If it from muscle wasting, this condition should improve with treatment. It isn't instantaneous and is one of the symptoms that is the last to resolve. My guy's weakness took four to six months to improve. If Sandal has been treated for four years, with adequate control of cortisol, you should not be seeing a deterioration, unless Sandal has arthritis. Has your vet ruled this out?